
Installing ACME

For Users

ACME can be installed using pip or conda:

conda install -c conda-forge esi-acme

ACME is the parallelization engine of Syncopy. If you’re working on the ESI HPC cluster installing ACME and/or SyNCoPy is only necessary if you create your own conda environment. On the ESI cluster, all current pre-configured reference environments (ESI-202xa/b) provide the respective most recent ACME version. These environments can be easily started using the ESI JupyterHub

For Developers

To install the latest development version of ACME in a fresh conda environment (called acme by default), please follow these steps:

git clone https://github.com/esi-neuroscience/acme.git
cd acme/
conda env create -f acme.yml
pip install -e .

(note the dot “.” at the end of the pip install command). More details are provided in Contributing to ACME.

Using ACME

In contrast to many Python packages, ACME is built around a single key element, the ParallelMap context manager. Thus, for most use-cases importing ParallelMap is likely sufficient to start ACME parallelization:

from acme import ParallelMap

def f(x, y, z=3):
    return (x + y) * z

with ParallelMap(f, [2, 4, 6, 8], 4) as pmap:

For more fine-grained control over resource allocation and load-balancer options, ACME offers “cluster setup” convenience functions to launch a custom-tailored “client” of parallel workers (corresponding to CPU cores if run on a single machine, i.e., laptop or workstation, or compute jobs if run on a cluster computing manager such as SLURM). These helper functions are mere wrappers around distributed.LocalCluster and dask_jobqueue.SLURMCluster which perform the actual heavy lifting. Thus, instead of letting ACME automatically allocate a worker swarm, more fine-grained control over resource allocation and management can be achieved by running slurm_cluster_setup() (on an HPC cluster managed by the SLURM Workload Manager) or local_cluster_setup() (on local multi-processing hardware) before launching the actual calculation. For example,

from acme import slurm_cluster_setup

slurmClient = slurm_cluster_setup(partition="some_partition",

starts 10 concurrent SLURM workers each provisioned with two CPU cores and 2 GB of RAM in a queue named “some_partition”. Any subsequent invocation of ParallelMap will automatically pick up slurmClient and distribute any occurring computational payload across the workers collected in slurmClient.

On the ESI HPC cluster the routine esi_cluster_setup() provides some sane defaults tailored to the specifics of the SLURM layout of the cluster. For instance,

esiClient = esi_cluster_setup(partition="16GBXL", n_workers=10)

starts 10 concurrent SLURM workers in the 16GBXL queue (no need to further specify CPU core count or memory requirements).

Misplaced materials data:
********
# La4Tb8Tm (GGA-PBE, optimized geometry)
data_La4Tb8Tm
_cell_length_a 11.0765
_cell_length_b 11.0765
_cell_length_c 13.4853
_cell_angle_alpha 90.00
_cell_angle_beta 90.00
_cell_angle_gamma 120.00
_symmetry_space_group_name_H-M 'R -3 m'
_symmetry_Int_Tables_number 166
_symmetry_space_group_name_Hall '-R 3 2"'
loop_
_atom_site_label
_atom_site_fract_x
_atom_site_fract_y
_atom_site_fract_z
La1 0.0000 0.0000 0.0000
La2 0.0000 0.5000 0.0000
Tb1 0.0000 0.0000 0.2391
Tb2 0.0135 0.5068 0.7454
Tm1 0.0000 0.0000 0.5000
# Final energy = -4.176 eV per atom

---

# Ca6ZnHg (GGA-PBE, optimized geometry)
data_Ca6ZnHg
_cell_length_a 5.3724
_cell_length_b 5.3724
_cell_length_c 18.8234
_cell_angle_alpha 90.00
_cell_angle_beta 90.00
_cell_angle_gamma 90.00
_symmetry_space_group_name_H-M 'I 4/m m m'
_symmetry_Int_Tables_number 139
_symmetry_space_group_name_Hall '-I 4 2'
loop_
_atom_site_label
_atom_site_fract_x
_atom_site_fract_y
_atom_site_fract_z
Ca1 0.0000 0.0000 0.2495
Ca2 0.0000 0.5000 0.0958
Zn1 0.0000 0.0000 0.0000
Hg1 0.0000 0.0000 0.5000
# Final energy = -1.903 eV per atom

---

# LaDy8Tl2 (GGA-PBE, optimized geometry)
data_LaDy8Tl2
_cell_length_a 8.8292
_cell_length_b 15.1461
_cell_length_c 5.6981
_cell_angle_alpha 90.00
_cell_angle_beta 113.84
_cell_angle_gamma 90.00
_symmetry_space_group_name_H-M 'C 1 2/m 1'
_symmetry_Int_Tables_number 12
_symmetry_space_group_name_Hall '-C 2y'
loop_
_atom_site_label
_atom_site_fract_x
_atom_site_fract_y
_atom_site_fract_z
La1 0.0000 0.0000 0.0000
Dy1 0.0000 0.2228 0.0000
Dy2 0.0901 0.5000 0.7940
Dy3 0.2074 0.1141 0.6218
Tl1 0.0000 0.3067 0.5000
# Final energy = -4.227 eV per atom

---

# Ba2Al3CdGe4 (GGA-PBE, optimized geometry)
data_Ba2Al3CdGe4
_cell_length_a 4.8179
_cell_length_b 4.8179
_cell_length_c 10.3653
_cell_angle_alpha 90.00
_cell_angle_beta 90.00
_cell_angle_gamma 90.00
_symmetry_space_group_name_H-M 'P -4 m 2'
_symmetry_Int_Tables_number 115
_symmetry_space_group_name_Hall 'P -4 -2'
loop_
_atom_site_label
_atom_site_fract_x
_atom_site_fract_y
_atom_site_fract_z
Ba1 0.0000 0.5000 0.2429
Al1 0.0000 0.5000 0.8870
Al2 0.5000 0.5000 0.5000
Cd1 0.0000 0.0000 0.5000
Ge1 0.0000 0.0000 0.0000
Ge2 0.0000 0.5000 0.6349
Ge3 0.5000 0.5000 0.0000
# Final energy = -3.789 eV per atom

---

# Y2IrSeS (GGA-PBE, optimized geometry)
data_Y2IrSeS
_cell_length_a 5.3417
_cell_length_b 5.3417
_cell_length_c 4.5533
_cell_angle_alpha 90.00
_cell_angle_beta 90.00
_cell_angle_gamma 90.00
_symmetry_space_group_name_H-M 'P 4/m m m'
_symmetry_Int_Tables_number 123
_symmetry_space_group_name_Hall '-P 4 2'
loop_
_atom_site_label
_atom_site_fract_x
_atom_site_fract_y
_atom_site_fract_z
Y1 0.0000 0.5000 0.0000
Ir1 0.0000 0.0000 0.5000
Se1 0.5000 0.5000 0.0000
S1 0.5000 0.5000 0.5000
# Final energy = -5.808 eV per atom
# ΔE_f (raw) = 72 meV/atom

---

# KGa11Ag (GGA-PBE, optimized geometry)
data_KGa11Ag
_cell_length_a 5.4563
_cell_length_b 13.4924
_cell_length_c 7.5795
_cell_angle_alpha 90.00
_cell_angle_beta 108.89
_cell_angle_gamma 90.00
********


Since ACME internally relies on distributed and dask_jobqueue it can leverage any HPC infrastructure (CPU nodes, GPU nodes etc.) managed by SLURM, PBS, SGE, Moab etc. For users of the ESI HPC cluster ACME offers the above presented convenience function esi_cluster_setup(), however, the underlying general purpose setup routine acme.slurm_cluster_setup() (which is invoked by esi_cluster_setup()) can be used to start a parallel worker cluster on any distributed system controlled by SLURM. If you are interested in having a *_cluster_setup routine for your institution’s HPC infrastructure being included in ACME, please open an issue in our GitHub Issue Tracker.

More Information

Details about optional arguments of ParallelMap are summarized in its constructor __init__() method. Additional usage examples and tutorials are provided in the User Walkthrough.